Class Files

  • public class Files
    extends Object
    Reusable assertions for Files.
    David DIDIER, Yvonne Wang, Alex Ruiz, Olivier Demeijer, Valeriy Vyrva
    • Constructor Detail

      • Files

    • Method Detail

      • instance

        public static Files instance()
        Returns the singleton instance of this class.
        the singleton instance of this class.
      • assertHasBinaryContent

The article is interrupted by calculated crystals >
Computed, not measured: a relaxed Ti4Si7Ni4 crystal at the PBE-GGA level of DFT.

a = 12.5735 Å, b = 12.5735 Å, c = 4.9509 Å
α = 90.00°, β = 90.00°, γ = 90.00°
Space group I4/mmm (No. 139)
Symmetry-distinct sites (fractional):
Ti1 0.0000 0.1899 0.0000
Ti2 0.1344 0.1344 0.5000
Si1 0.0000 0.0000 0.2510
Si2 0.0000 0.2880 0.5000
Si3 0.0000 0.4067 0.0000
Si4 0.2043 0.2043 0.0000
Ni1 0.1488 0.3512 0.2500

Output
Calculated density ... 5.3 g cm⁻³
Raw total energy ... -0.5064 Ry/atom



Computed, not measured: a relaxed U2C6NO14 crystal at the PBE-GGA level of DFT.

a = 9.5164 Å, b = 16.2284 Å, c = 12.0671 Å
α = 90.00°, β = 123.62°, γ = 90.00°
Space group P2_1/c (No. 14)
Symmetry-distinct sites (fractional):
U1 0.1813 0.1277 0.4528
U2 0.2229 0.6275 0.4461
C1 0.0710 0.5766 0.8207
C2 0.0726 0.1689 0.8215
C3 0.0755 0.6687 0.8196
C4 0.0765 0.0768 0.8207
C5 0.4270 0.0802 0.7696
C6 0.4283 0.1769 0.7689
N1 0.2702 0.1091 0.1493
O1 0.0091 0.6301 0.0484
O2 0.0248 0.1264 0.2381
O3 0.1419 0.6268 0.5511
O4 0.1539 0.5229 0.9030
O5 0.1566 0.2229 0.9029
O6 0.1643 0.0233 0.9017
O7 0.1643 0.7221 0.9000
O8 0.3150 0.0468 0.6610
O9 0.3189 0.6284 0.3532
O10 0.3196 0.2101 0.6596
O11 0.3826 0.1251 0.4706
O12 0.3840 0.6185 0.1330
O13 0.4609 0.7103 0.6227
O14 0.4619 0.5467 0.6228

Output
Calculated density ... 3.4 g cm⁻³
Raw total energy ... -0.5737 Ry/atom



Computed, not measured: a relaxed Cu4AsClO6 crystal at the PBE-GGA level of DFT.

a = 5.5040 Å, b = 11.3327 Å, c = 10.3061 Å
α = 90.00°, β = 90.00°, γ = 90.00°
Space group Pbcm (No. 57)
Symmetry-distinct sites (fractional):
Cu1 0.0327 0.1468 0.2500
Cu2 0.1451 0.0871 0.7500
Cu3 0.2348 0.5533 0.5438
As1 0.3248 0.2500 0.0000
Cl1 0.3808 0.5987 0.7500
O1 0.0464 0.5297 0.1190
O2 0.1233 0.2245 0.6287
O3 0.4859 0.1250 0.0386

Output
Calculated density ... 4.8 g cm⁻³
Raw total energy ... -0.3768 Ry/atom



Short version: energy relative to the elements = -711, -1460, -1088 meV/atom, in the order given.

=====

(1)
DFT (GGA-PBE) results for a relaxed structure of TlGaSe2.

Geometry as POSCAR:
```
TlGaSe2
1.0
5.119 -4.271 0.270
-1.044 4.481 4.832
-5.382 -3.935 0.278
Se Ga Tl
4 2 2
direct
0.159 0.341 0.500
0.659 0.159 0.818
0.341 0.841 0.182
0.841 0.659 0.500
0.250 0.750 0.500
0.750 0.250 0.500
0.250 0.250 0.000
0.750 0.750 0.000
```

Energy relative to the lowest polymorph listed for this composition, meV per atom: 16.3
Energy relative to the elements, eV/atom: -0.80
End of the calculated crystals >

        public void assertHasBinaryContent​(AssertionInfo info,
                                           File actual,
                                           byte[] expected)
        Asserts that the given file has the given binary content.
        info - contains information about the assertion.
        actual - the "actual" file.
        expected - the "expected" binary content.
        NullPointerException - if expected is null.
        AssertionError - if actual is null.
        AssertionError - if actual is not an existing file.
        UncheckedIOException - if an I/O error occurs.
        AssertionError - if the file does not have the binary content.
      • assertHasSizeInBytes

        public void assertHasSizeInBytes​(AssertionInfo info,
                                         File actual,
                                         long expectedSizeInBytes)
        Asserts that the given file has the given size in bytes.
        info - contains information about the assertion.
        actual - the "actual" file.
        expectedSizeInBytes - the "expected" file size.
        AssertionError - if actual is null.
        AssertionError - if actual is not an existing file.
      • assertHasContent

        public void assertHasContent​(AssertionInfo info,
                                     File actual,
                                     String expected,
                                     Charset charset)
        Asserts that the given file has the given text content.
        info - contains information about the assertion.
        actual - the "actual" file.
        expected - the "expected" text content.
        charset - the charset to use to read the file.
        NullPointerException - if expected is null.
        AssertionError - if actual is null.
        AssertionError - if actual is not an existing file.
        UncheckedIOException - if an I/O error occurs.
        AssertionError - if the file does not have the text content.
      • assertIsFile

        public void assertIsFile​(AssertionInfo info,
                                 File actual)
        Asserts that the given file is an existing file.
        info - contains information about the assertion.
        actual - the given file.
        AssertionError - if the given file is null.
        AssertionError - if the given file is not an existing file.
      • assertIsDirectory

        public void assertIsDirectory​(AssertionInfo info,
                                      File actual)
        Asserts that the given file is an existing directory.
        info - contains information about the assertion.
        actual - the given file.
        AssertionError - if the given file is null.
        AssertionError - if the given file is not an existing directory.
      • assertIsAbsolute

        public void assertIsAbsolute​(AssertionInfo info,
                                     File actual)
        Asserts that the given file is an absolute path.
        info - contains information about the assertion.
        actual - the given file.
        AssertionError - if the given file is null.
        AssertionError - if the given file is not an absolute path.
      • assertIsRelative

        public void assertIsRelative​(AssertionInfo info,
                                     File actual)
        Asserts that the given file is a relative path.
        info - contains information about the assertion.
        actual - the given file.
        AssertionError - if the given file is null.
        AssertionError - if the given file is not a relative path.
      • assertExists

        public void assertExists​(AssertionInfo info,
                                 File actual)
        Asserts that the given file exists, regardless it's a file or directory.
        info - contains information about the assertion.
        actual - the given file.
        AssertionError - if the given file is null.
        AssertionError - if the given file does not exist.
      • assertDoesNotExist

        public void assertDoesNotExist​(AssertionInfo info,
                                       File actual)
        Asserts that the given file does not exist.
        info - contains information about the assertion.
        actual - the given file.
        AssertionError - if the given file is null.
        AssertionError - if the given file exists.
      • assertCanWrite

These materials data were left in the piece by mistake.
********
Record 1
PaMn2Ga: relaxed, PBE.

It has space group Fm-3m (No. 225), with a = 6.319 Å, b = 6.319 Å, c = 6.319 Å, α = 90.00°, β = 90.00° and γ = 90.00°. Symmetry generates all atoms from Pa at (0.000, 0.000, 0.000), Mn at (0.250, 0.250, 0.250) and Ga at (0.000, 0.000, 0.500).

As for the energy relative to the elements: -0.110 eV/atom.



Record 2
BaPO3F: relaxed, PBE.

It has space group P2_1/c (No. 14), with a = 9.409 Å, b = 8.844 Å, c = 9.375 Å, α = 90.00°, β = 104.45° and γ = 90.00°. Symmetry generates all atoms from Ba at (0.028, 0.177, 0.192), Ba at (0.432, 0.679, 0.790), P at (0.222, 0.573, 0.031), P at (0.277, 0.057, 0.980), O at (0.115, 0.093, 0.917), O at (0.145, 0.687, 0.106), O at (0.166, 0.568, 0.864), O at (0.325, 0.598, 0.440), O at (0.334, 0.100, 0.142), O at (0.389, 0.572, 0.085), F at (0.173, 0.092, 0.583) and F at (0.358, 0.180, 0.894).

As for the energy relative to the elements: -3.285 eV/atom. The value obtained for the magnetization is 0.00 μB/f.u.



Record 3
UB4W: relaxed, PBE.

It has space group Pbam (No. 55), with a = 5.963 Å, b = 11.565 Å, c = 3.656 Å, α = 90.00°, β = 90.00° and γ = 90.00°. Symmetry generates all atoms from U at (0.129, 0.150, 0.000), B at (0.025, 0.693, 0.500), B at (0.115, 0.547, 0.500), B at (0.132, 0.968, 0.500), B at (0.207, 0.812, 0.500) and W at (0.138, 0.409, 0.000).

As for the energy relative to the elements: -0.502 eV/atom. The value obtained for the magnetization is 1.57 μB/f.u.



Record 4
NbPO5: relaxed, PBE.

It has space group P4/n (No. 85, origin choice 2), with a = 6.492 Å, b = 6.492 Å, c = 4.267 Å, α = 90.00°, β = 90.00° and γ = 90.00°. Symmetry generates all atoms from Nb at (0.250, 0.250, 0.222), P at (0.250, 0.750, 0.500), O at (0.056, 0.729, 0.706) and O at (0.250, 0.250, 0.806).

As for the energy relative to the elements: -2.906 eV/atom. Its polymorph energy (0 for the lowest one) is 23.9 meV per atom. The value obtained for the magnetization is 0.00 μB/f.u.



Record 5
CaMgCd: relaxed, PBE.

It has space group Amm2 (No. 38), with a = 10.104 Å, b = 6.073 Å, c = 10.380 Å, α = 90.00°, β = 90.00° and γ = 90.00°. Symmetry generates all atoms from Ca at (0.187, 0.000, 0.000), Ca at (0.305, 0.000, 0.667), Mg at (0.000, 0.000, 0.497), Mg at (0.500, 0.000, 0.164), Mg at (0.500, 0.248, 0.917), Cd at (0.000, 0.245, 0.746) and Cd at (0.252, 0.000, 0.334).

As for the energy relative to the elements: -0.239 eV/atom.



Record 6
Ti3WC3N: relaxed, PBE.

It has space group R3m (No. 160, hexagonal axes), with a = 3.0603 Å, b = 3.0603 Å, c = 30.1783 Å, α = 90.00°, β = 90.00° and γ = 120.00°. Symmetry generates all atoms from Ti at (0.0000, 0.0000, 0.0000), Ti at (0.0000, 0.0000, 0.2508), Ti at (0.0000, 0.0000, 0.5020), W at (0.0000, 0.0000, 0.7493), C at (0.0000, 0.0000, 0.3756), C at (0.0000, 0.0000, 0.6255), C at (0.0000, 0.0000, 0.8749) and N at (0.0000, 0.0000, 0.1268).

As for the energy relative to the elements: -0.774 eV/atom. The value obtained for the magnetization is 0.01 μB/f.u.
********
End of the materials data.

        public void assertCanWrite​(AssertionInfo info,
                                   File actual)
        Asserts that the given file can be modified by the application.
        info - contains information about the assertion.
        actual - the given file.
        AssertionError - if the given file is null.
        AssertionError - if the given file can not be modified.
      • assertIsEmptyFile

        public void assertIsEmptyFile​(AssertionInfo info,
                                      File actual)
        Asserts that the given File is empty (i.e. size is equal to zero bytes).
        info - contains information about the assertion.
        actual - the given file.
        AssertionError - if the given File is null.
        AssertionError - if the given File does not exist.
        AssertionError - if the given File is not empty.
      • assertIsNotEmptyFile

        public void assertIsNotEmptyFile​(AssertionInfo info,
                                         File actual)
        Asserts that the given File is not empty (i.e. size is greater than zero bytes).
        info - contains information about the assertion.
        actual - the given file.
        AssertionError - if the given File is null.
        AssertionError - if the given File does not exist.
        AssertionError - if the given File is empty.
      • assertCanRead

        public void assertCanRead​(AssertionInfo info,
                                  File actual)
        Asserts that the given file can be read by the application.
        info - contains information about the assertion.
        actual - the given file.
        AssertionError - if the given file is null.
        AssertionError - if the given file can not be modified.
      • assertHasParent

        public void assertHasParent​(AssertionInfo info,
                                    File actual,
                                    File expected)
        Asserts that the given File has the given parent.
        info - contains information about the assertion.
        actual - the given file.
        expected - the expected parent File.
        NullPointerException - if the expected parent File is null.
        UncheckedIOException - if an I/O error occurs.
        AssertionError - if the given File is null.
        AssertionError - if the given File does not have a parent.
        AssertionError - if the given File parent is not equal to the expected one.
      • assertHasExtension

        public void assertHasExtension​(AssertionInfo info,
                                       File actual,
                                       String expected)
        Asserts that the given File has the given extension.
        info - contains information about the assertion.
        actual - the given file.
        expected - the expected extension, it does not contains the '.'
        NullPointerException - if the expected extension is null.
        AssertionError - if the actual File is null.
        AssertionError - if the actual File is not a file (ie a directory).
        AssertionError - if the actual File does not have the expected extension.
      • assertHasName

        public void assertHasName​(AssertionInfo info,
                                  File actual,
                                  String expected)
        Asserts that the given File has the given name.
        info - contains information about the assertion.
        actual - the given file.
        expected - the expected file name.
        NullPointerException - if the expected name is null.
        AssertionError - if the actual File is null.
        AssertionError - if the actual File does not have the expected name.
      • assertHasNoParent

        public void assertHasNoParent​(AssertionInfo info,
                                      File actual)
        Asserts that the given File does not have a parent.
        info - contains information about the assertion.
        actual - the given file.
        AssertionError - if the actual File is null.
        AssertionError - if the actual File has a parent.
      • assertHasDigest

        public void assertHasDigest​(AssertionInfo info,
                                    File actual,
                                    String algorithm,
                                    byte[] expected)
      • assertIsEmptyDirectory

        public void assertIsEmptyDirectory​(AssertionInfo info,
                                           File actual)
      • assertIsNotEmptyDirectory

        public void assertIsNotEmptyDirectory​(AssertionInfo info,
                                              File actual)
      • assertIsDirectoryContaining

        public void assertIsDirectoryContaining​(AssertionInfo info,
                                                File actual,
                                                String syntaxAndPattern)
      • assertIsDirectoryNotContaining

Crystalline Li3BS3 at its relaxed geometry. Source: the Materials Project, functional r2SCAN.

Computed properties:
Energy of formation from the pure elements   -1.1872 eV/atom
Total DFT energy (no corrections)   -6.703 eV per atom

POSCAR file:
```
Li3BS3
1.0
6.1314 0.0000 0.0000
0.0000 8.1323 0.0000
0.0000 0.0000 10.0651
S Li B
12 12 4
Direct
0.7585 0.4208 0.4066
0.3397 0.2969 0.2500
0.2415 0.5792 0.5934
0.7415 0.9208 0.0934
0.2415 0.5792 0.9066
0.8397 0.2031 0.7500
0.2585 0.0792 0.9066
0.7585 0.4208 0.0934
0.7415 0.9208 0.4066
0.6603 0.7031 0.7500
0.1603 0.7969 0.2500
0.2585 0.0792 0.5934
0.1050 0.8312 0.0095
0.1050 0.8312 0.4905
0.5461 0.9951 0.7500
0.6050 0.6688 0.5095
0.9539 0.4951 0.7500
0.8950 0.1688 0.9905
0.4539 0.0049 0.2500
0.3950 0.3312 0.4905
0.6050 0.6688 0.9905
0.8950 0.1688 0.5095
0.3950 0.3312 0.0095
0.0461 0.5049 0.2500
0.1170 0.1201 0.7500
0.8830 0.8799 0.2500
0.3830 0.6201 0.7500
0.6170 0.3799 0.2500
```



Crystalline Li2B2Se5 at its relaxed geometry. Source: the Materials Project, functional r2SCAN.

Computed properties:
Energy of formation from the pure elements   -0.6224 eV/atom
Total DFT energy (no corrections)   -10.736 eV per atom

POSCAR file:
```
Li2B2Se5
1.0
-0.7117 -5.1374 1.1805
2.7041 -3.9502 -3.5770
9.7513 -2.5857 6.6100
Se B Li
10 4 4
Direct
0.7277 0.9306 0.9392
0.7555 0.7500 0.2500
0.2723 0.0694 0.0608
0.2445 0.2500 0.7500
0.5645 0.3497 0.1607
0.0749 0.1503 0.3393
0.4355 0.6503 0.8393
0.4025 0.4306 0.4392
0.9251 0.8497 0.6607
0.5975 0.5694 0.5608
0.5881 0.9260 0.7925
0.4119 0.0740 0.2075
0.3066 0.5740 0.7075
0.6934 0.4260 0.2925
0.8941 0.8179 0.4326
0.1059 0.1821 0.5674
0.1446 0.6821 0.0674
0.8554 0.3179 0.9326
```



Crystalline LiSi2B at its relaxed geometry. Source: the Materials Project, functional r2SCAN.

Computed properties:
Energy of formation from the pure elements   -0.1670 eV/atom
Total DFT energy (no corrections)   -6.987 eV per atom

POSCAR file:
```
LiSi2B
1.0
-4.3580 2.9939 4.3033
4.0053 -1.7090 5.2452
4.3748 7.6072 -0.8620
Si Li B
16 8 8
Direct
0.0000 0.8167 0.1298
0.6807 0.0000 0.6139
0.6833 0.5000 0.6298
0.5000 0.6833 0.3702
0.0000 0.6807 0.3861
0.3193 0.0000 0.6139
0.8193 0.5000 0.8861
0.5000 0.8193 0.1139
0.1833 0.0000 0.8702
0.5000 0.3167 0.3702
0.0000 0.1833 0.1298
0.8167 0.0000 0.8702
0.3167 0.5000 0.6298
0.0000 0.3193 0.3861
0.5000 0.1807 0.1139
0.1807 0.5000 0.8861
0.2541 0.5000 0.1731
0.7541 0.0000 0.3269
0.7459 0.5000 0.1731
0.2459 0.0000 0.3269
0.5000 0.2541 0.8269
0.0000 0.2459 0.6731
0.5000 0.7459 0.8269
0.0000 0.7541 0.6731
0.2583 0.2583 0.5000
0.2417 0.7583 0.0000
0.7583 0.7583 0.0000
0.7583 0.2417 0.0000
0.2417 0.2417 0.0000
0.7417 0.7417 0.5000
0.7417 0.2583 0.5000
0.2583 0.7417 0.5000
```



Crystalline LuB2 at its relaxed geometry. Source: the Materials Project, functional r2SCAN.

Computed properties:
Energy of formation from the pure elements   -0.7771 eV/atom
Total DFT energy (no corrections)   -18.368 eV per atom

POSCAR file:
```
LuB2
1.0
3.2360 0.0000 0.0000
[Back to the piece]

        public void assertIsDirectoryNotContaining​(AssertionInfo info,
                                                   File actual,
                                                   String syntaxAndPattern)
      • assertNotNull

        private static void assertNotNull​(AssertionInfo info,
                                          File actual)
      • getFileExtension

        private String getFileExtension​(File file)
      • verifyIsFile

        private void verifyIsFile​(File expected)
      • isAbsolutePath

        private boolean isAbsolutePath​(AssertionInfo info,
                                       File actual)